Whether ‘tis nobler in the mind to suffer; the alcohol and drugs of outrageous college parties, or to take arms against a sea of drunk students, and by opposing them? To die; to sleep.
Shakespeare really had me in mind when he wrote “Hamlet,” I guess.
The percentage of students who drink on college campuses is about 40 percent higher than the percent of students who vote in the national election, according to information from both US News and The Washington Post.
To be fair, more people drink than vote in the national election, regardless of age group. But it still makes a point.
But what happens if you don’t drink in college? Well, Jager “Sober As A Toddler” Robinson is here to give you a three-part lesson.
## These records of molecules were left in the article by mistake
21
Properties=species:S:1:pos:R:3:forces:R:3 method="wB97M-V/def2-TZVPD" homo_ev=-9.70 smiles="CCC(N)=O.CCO" e_tot_ev=-10980.0628 e_above_lowest_kj_mol=175.2
O -0.702 -0.080 2.000 -3.0 -0.4 -2.5
O 0.601 1.598 -2.834 0.5 -0.9 0.7
N 1.681 2.706 -1.142 -1.2 -3.1 -1.5
C 1.768 -0.899 -1.646 0.5 -1.8 -1.8
C -2.692 -1.373 1.090 5.4 0.5 -0.3
C 1.306 0.253 -0.879 -1.1 1.2 0.9
C -2.038 -0.591 2.314 -0.8 -0.4 0.0
C 1.169 1.484 -1.766 0.1 3.5 1.0
H 1.582 3.569 -1.622 0.0 0.4 -0.4
H -2.959 -0.847 0.185 0.1 0.8 0.1
H 2.076 0.413 -0.132 -0.2 0.6 0.4
H -0.164 -0.165 2.735 1.5 -0.3 2.3
H -2.019 -1.233 3.222 0.3 -0.1 -0.8
H -3.393 -2.099 1.208 -2.6 -1.6 1.5
H 2.125 -1.720 -1.035 -0.1 -0.1 0.5
H 0.308 0.103 -0.355 1.2 0.1 -0.5
H 2.206 2.655 -0.314 0.6 0.0 0.9
H -2.664 0.226 2.675 0.0 0.4 -0.5
H 2.671 -0.615 -2.239 -0.9 -0.3 0.0
H 0.947 -1.321 -2.254 0.7 0.3 -0.2
H -1.810 -2.065 0.788 -1.1 1.2 0.1


21
Properties=species:S:1:pos:R:3:forces:R:3 method="wB97M-V/def2-TZVPD" homo_ev=-9.37 smiles=C[C@@H](O)CCNCO e_tot_ev=-10979.9569 e_above_lowest_kj_mol=185.4
O -0.256 -1.543 2.366 0.9 -0.6 -0.9
O -1.809 0.579 -2.969 0.7 -0.8 -0.4
N -0.696 0.757 -0.938 0.2 -0.4 1.1
C 1.936 -1.397 1.366 0.9 0.8 -0.4
C -0.526 0.717 -2.356 -0.6 1.0 -0.8
C 0.413 1.235 -0.087 0.1 -0.5 -0.2
C 0.511 -0.891 1.334 -1.2 -0.5 -0.6
C 0.336 0.635 1.328 0.2 0.2 0.5
H -0.576 1.007 1.807 -0.3 -0.6 -0.1
H 1.129 0.983 1.999 0.1 0.5 -0.4
H -0.635 -0.866 2.886 -0.7 1.0 1.0
H -2.451 0.872 -2.332 -0.4 0.3 0.5
H 0.083 -1.271 0.398 0.0 0.0 0.1
H 2.216 -1.669 2.377 0.0 -0.3 0.1
H 0.312 2.315 -0.091 0.5 0.2 0.3
H 1.399 0.918 -0.451 0.0 0.3 -0.4
H -0.934 -0.161 -0.593 -0.3 -0.2 -0.3
H 2.667 -0.642 1.041 -0.3 0.2 0.1
H 0.113 -0.076 -2.756 0.0 -0.2 0.1
H 2.099 -2.185 0.634 -0.2 -0.5 0.4
H -0.138 1.678 -2.720 0.4 -0.1 0.4


21
Properties=species:S:1:pos:R:3:forces:R:3 method="wB97M-V/def2-TZVPD" homo_ev=-9.81 smiles="CC(C)CC(N)=O.O" e_tot_ev=-10979.9161 e_above_lowest_kj_mol=189.4
O -1.762 -0.806 0.201 1.1 -0.2 0.4
O -1.706 -1.367 -2.604 -0.3 -0.6 -0.8
N -0.405 -2.508 -0.108 -2.9 2.3 -1.1
C 1.871 1.585 0.705 0.2 -0.3 -3.0
C -0.554 1.605 -0.038 -2.1 -2.4 2.6
C 0.372 -0.408 1.257 0.9 -1.3 -1.0
C 0.638 0.693 0.165 2.7 0.6 0.8
C -0.640 -1.280 0.467 -2.0 -0.2 0.8
H 1.616 2.050 1.609 -0.8 1.1 1.1
H -0.962 -0.812 -2.482 2.1 0.7 -0.9
H 0.217 -3.218 0.020 2.4 -1.5 0.9
H -2.071 -1.037 -1.804 -1.9 -0.1 1.7
H 0.162 0.003 2.313 -0.6 -0.5 -2.0
H -1.200 -2.727 -0.752 1.2 0.1 0.8
H 2.021 2.316 -0.152 0.0 -0.3 1.4
H 0.925 0.331 -0.898 -0.2 -0.2 2.0
H -1.356 1.456 0.808 1.7 0.6 -1.5
H -0.289 2.580 -0.156 0.9 2.9 0.0
H 2.894 1.201 0.932 -0.9 -0.7 -0.6
H 1.298 -1.002 1.434 -0.4 0.3 -0.4
H -1.068 1.347 -0.916 -0.8 -0.5 -1.2


21
Properties=species:S:1:pos:R:3:forces:R:3 method="wB97M-V/def2-TZVPD" homo_ev=-9.73 smiles="CCCCNC=O.O" e_tot_ev=-10979.8828 e_above_lowest_kj_mol=192.6
O -2.131 -1.612 2.182 3.2 1.2 0.5
O -2.706 0.232 0.284 -1.3 -0.2 -1.6
N -1.194 0.348 -1.367 -5.0 0.0 2.8
C 2.790 0.045 -0.348 0.1 -3.0 0.4
## Here the article continues
Before I start, I think it would be fair to point something out. I have tried alcohol in my life, but I have yet to drink an ounce since getting to this barren wasteland we call Stony Brook.
Between two parts of the text: records of molecules >
........
{"formula": "C21H13BrCl5N4O5RuS2", "method": "wB97M-V/def2-TZVPD", "elements": ["Ru", "Br", "Cl", "Cl", "Cl", "Cl", "Cl", "S", "S", "O", "O", "O", "O", "O", "N", "N", "N", "N", "C", "C", "C", "C", "C", "C", "C", "C", "C", "C", "C", "C", "C", "C", "C", "C", "C", "C", "C", "C", "C", "H", "H", "H", "H", "H", "H", "H", "H", "H", "H", "H", "H", "H"], "coordinates": [[-0.4031, 1.1892, 0.5176], [1.9637, 3.4668, -1.2435], [5.3712, 0.1158, 3.7321], [4.1289, -2.1669, 2.0106], [1.2264, 3.2942, 2.4198], [3.9022, 2.8631, 3.9411], [1.4880, -1.6734, 0.4637], [-3.2864, -2.1251, 0.8826], [-1.7951, -1.4644, -1.9349], [-2.0202, 2.1036, 1.6313], [-3.1341, -1.9702, -1.8473], [-3.3032, 3.8843, 2.0736], [-1.4939, -0.5532, -3.0160], [-0.3458, 1.5896, -2.0138], [-0.5091, 3.5417, -0.0098], [1.9463, -6.0315, -2.1148], [-1.3895, -0.6785, -0.5407], [-1.4434, -0.5424, 1.7497], [-0.0024, 5.5148, -1.2442], [-0.6913, -2.8299, -2.0584], [1.0797, -4.9682, -2.0836], [3.3620, -0.6325, 2.0943], [2.0862, 1.8061, 2.2451], [2.1782, -0.4030, 1.4005], [3.2657, 1.6143, 2.9538], [-1.1845, 6.0934, -0.8025], [-2.4069, 3.3195, 1.4846], [-2.1328, -0.9738, 2.8487], [-3.1258, -1.8514, 2.5839], [-0.2164, -5.1248, -1.5727], [0.2934, 4.2403, -0.8001], [0.5806, -2.6608, -2.5863], [1.4558, -3.7248, -2.6102], [-1.9924, 5.3991, 0.0810], [3.9154, 0.3852, 2.8667], [-1.6156, 4.1198, 0.4482], [-1.9306, -1.0403, 0.6357], [-1.0968, -4.0631, -1.5629], [1.5271, 0.8234, 1.4323], [-2.1040, -4.1714, -1.1846], [-0.8452, 0.8721, -2.4579], [1.7315, -6.8374, -1.5572], [-0.5181, -6.0912, -1.1873], [-2.8960, 5.8109, 0.5058], [0.8682, -1.6975, -2.9867], [2.9198, -5.8526, -2.2788], [2.4515, -3.5995, -3.0181], [-3.7764, -2.3393, 3.2894], [-1.4549, 7.0869, -1.1348], [-1.8507, -0.6243, 3.8297], [0.5484, 1.5283, -2.3651], [0.6744, 6.0292, -1.9093]], "forces_ev_per_a": [[-1.799, 0.263, 1.943], [0.021, 0.119, 0.021], [0.061, 0.004, 0.024], [0.048, -0.031, 0.003], [0.145, 0.098, 0.236], [0.060, 0.056, 0.043], [0.047, -0.135, -0.128], [0.354, 0.297, 0.353], [0.224, 0.376, 0.635], [1.475, -1.607, -0.330], [-0.083, -0.167, 0.081], [0.081, -0.438, 0.011], [0.207, 0.014, -0.064], [0.389, 0.139, -0.008], [0.828, -0.635, -0.376], [0.001, -0.057, -0.109], [0.132, 0.413, -0.591], [1.011, 0.624, -1.535], [-0.010, -0.031, -0.011], [-0.290, 0.222, 0.118], [-0.177, 0.104, -0.006], [0.073, 0.071, 0.040], [-0.328, 0.005, -0.192], [-0.358, 0.086, -0.314], [0.026, -0.067, -0.056], [-0.012, -0.036, -0.001], [0.150, 1.178, -0.672], [-0.223, -0.111, 0.498], [0.166, 0.180, 0.081], [0.122, -0.028, -0.015], [-0.033, -0.047, 0.051], [-0.036, 0.015, -0.055], [0.103, -0.030, 0.079], [0.046, -0.006, -0.033], [-0.052, -0.040, 0.000], [-0.199, -0.148, 0.370], [-0.782, -1.217, -0.097], [0.020, 0.037, 0.012], [-1.458, 0.555, 0.025], [0.017, -0.067, 0.027], [-0.070, -0.109, -0.027], [0.045, -0.009, 0.039], [-0.041, 0.014, 0.000], [-0.012, -0.015, -0.008], [0.037, -0.020, 0.007], [0.029, -0.010, 0.044], [-0.010, 0.001, -0.024], [0.021, 0.029, 0.030], [0.011, 0.006, 0.015], [0.014, 0.035, -0.035], [-0.001, 0.103, -0.127], [0.011, 0.019, 0.029]], "mulliken_spin": [0.966, 0.000, 0.001, -0.001, 0.007, -0.001, -0.001, -0.002, 0.006, -0.004, 0.012, -0.004, -0.001, 0.025, -0.019, 0.000, 0.086, -0.004, -0.002, 0.005, 0.001, -0.008, -0.030, -0.008, -0.008, 0.003, -0.001, -0.002, 0.002, -0.001, 0.006, -0.001, 0.000, -0.002, 0.008, 0.004, 0.002, 0.001, -0.028, 0.000, -0.004, 0.000, 0.000, -0.001, 0.000, 0.000, 0.000, 0.000, 0.000, -0.001, -0.002, 0.000], "e_above_lowest_kcal_mol": 65.91, "multiplicity": 2, "total_charge": 0, "homo_energy_ev": [-8.1, -8.1]}
........
There Is Certainly An Effort To Get You To Try It
I cannot explain to you how many times this has happened.
Last week, for example, my suitemate and a love interest both tried to get me to either drink or smoke. While I respect the argument “You have to try at some point,” I disrespect the argument that I am somehow less happy without the substances.
I am not upset with anybody for asking me to drink. But let’s be real, I’d rather wake up refreshed after a night of sleeping than feel like a jackhammer is targeting my brain in the morning.
For those of you who don’t drink, just stand your ground. People are generally reasonable people. If you tell them no, and they are at least a little mentally stable, they’ll understand that you are sticking to principles.
Stony Brook Isn’t Dry
Barren wasteland or not, Stony Brook certainly has a steady flow of alcohol running through its veins.
While the administration tries to make us a “tobacco-free campus,” our students find a steady stream of inebriation from their favorite studying tool.
This fact only really matters to freshmen. Many freshmen might enter college thinking that Stony Brook isn’t a party school, which it’s not. But don’t be fooled. There are still plenty of expectations for you to “fit in.”
Stay True Young Grasshopper, For Being Sober Is The Most Interesting Path
I can’t lie about this next fact: not drinking at Stony Brook isn’t actually that hard. Even at parties, the most I’ve gotten is the classic “Bro, you gotta try this.” The real challenge of not drinking is during finals week, when all you want to do is say “screw it.”
Stress, friends and a complete lack of care is the best cocktail mix of all time, and if we are all being honest here, drinking your sorrows away often feels like the number one reason for drinking in the first place.
But you can stay sober and deal with stress. It actually isn’t hard. Just go to a party, sit down and watch. Stress is a mental block and I promise you, watching drunk people is 100 percent more entertaining than being that drunk person.
So, there you have it. My lesson for you. Sure, it wasn’t as put together as sonnets from Shakespeare, but I hope it gets you through the years.
There will always be people trying to get you to drink and Stony Brook will always have a special place for alcohol on its shelves, but if you just remember that people aren’t so bad sober and that stress is curable through laughter, you might just come out clean. On your drug tests, of course.